[Given]
/*
The following is a PBE-GGA calculation of a relaxed structure of YErP2, from Alexandria. Values from VASP.

Calculated values
**Energy of formation from the pure elements**: -1.455 eV per atom
**Density**: 5.8 g/cm3
**Excess energy over the best structure of this formula in the dataset**: 167 meV/atom
**Final energy**: -6.916 eV/atom
**Space-group type**: R3m, No. 160

```
&SYSTEM
  ibrav = 0, nat = 4, ntyp = 3
/
ATOMIC_SPECIES
Er 167.26 Er.upf
Y 88.91 Y.upf
P 30.97 P.upf
ATOMIC_POSITIONS crystal
Er 0.669 0.669 0.993
Y 0.498 0.498 0.507
P 0.081 0.081 0.756
P 0.252 0.252 0.244
CELL_PARAMETERS angstrom
3.952 0.000 0.000
1.976 3.423 0.000
1.976 1.141 6.790
```

----------

A plane-wave DFT calculation with PBE with a Hubbard U was carried out for a relaxed TbTlV2O6 crystal.

**ρ**: 5.7 Mg/m³
**E**: -7.351 eV per atom
**Size of the total moment**: 0.200 μB per atom

CIF file:
```
data_TbTlV2O6
_cell_length_a 10.920
_cell_length_b 10.215
_cell_length_c 6.007
_cell_angle_alpha 90.00
_cell_angle_beta 103.79
_cell_angle_gamma 90.00
_space_group_name_H-M_alt 'C 1 2/c 1'
_space_group_IT_number 15
_space_group_name_Hall '-C 2yc'
loop_
_atom_site_label
_atom_site_fract_x
_atom_site_fract_y
_atom_site_fract_z
_atom_site_occupancy
Tb1 0.000 0.101 0.250 1
Tl1 0.000 0.330 0.750 1
V1 0.217 0.410 0.306 1
O1 0.113 0.062 0.618 1
O2 0.147 0.255 0.241 1
O3 0.158 0.490 0.540 1
```

----------

[1]
## SmEr2Al (GGA-PBE)

Data for a relaxed SmEr2Al crystal.

Results
- Fermi-level density of states: 6.09 states/eV/f.u.
- Energy relative to the elements: -0.004 eV per atom
- ρ: 7.86 g cm⁻³
- Crystal system: cubic
- Energy above the most stable polymorph in this dataset: 0.194 eV/atom
- Spin magnetization: 4.64 Bohr magnetons per cell

Unit cell a=7.562 b=7.562 c=7.562 alpha=90.00 beta=90.00 gamma=90.00
Space group Fm-3m (No. 225)
Inequivalent atoms, fractional coordinates:
Sm1 0.000 0.000 0.000 x4
Er1 0.250 0.250 0.250 x8
Al1 0.000 0.000 0.500 x4

[2]
## FeP2PdS (GGA-PBE)

Data for a relaxed FeP2PdS crystal.

Results
- Fermi-level density of states: 4.24 states/eV/f.u.
- ρ: 5.06 g cm⁻³
- Formation energy (no corrections): 491 meV/atom
- Crystal system: tetragonal
- Energy above the most stable polymorph in this dataset: 0.000 eV/atom
- Spin magnetization: 0.27 Bohr magnetons per cell

Unit cell a=4.155 b=4.155 c=4.872 alpha=90.00 beta=90.00 gamma=90.00
Space group P4/mmm (No. 123)
Inequivalent atoms, fractional coordinates:
Fe1 0.000 0.000 0.000 x1
P1 0.000 0.500 0.000 x2
Pd1 0.500 0.500 0.500 x1
S1 0.000 0.000 0.500 x1

[3]
## KYRe2 (GGA-PBE)

Data for a relaxed KYRe2 crystal.

Results
- Fermi-level density of states: 2.74 states/eV/f.u.
- Energy relative to the elements: 1.210 eV per atom
- ρ: 10.49 g cm⁻³
- Crystal system: orthorhombic
- Energy above the most stable polymorph in this dataset: 0.688 eV/atom
- Spin magnetization: 0.02 Bohr magnetons per cell
*/

[Work order]
Transcribe the whole of the contents further above with every line break kept.

[Done]
The following is a PBE-GGA calculation of a relaxed structure of YErP2, from Alexandria. Values from VASP.

Calculated values
**Energy of formation from the pure elements**: -1.455 eV per atom
**Density**: 5.8 g/cm3
**Excess energy over the best structure of this formula in the dataset**: 167 meV/atom
**Final energy**: -6.916 eV/atom
**Space-group type**: R3m, No. 160

```
&SYSTEM
  ibrav = 0, nat = 4, ntyp = 3
/
ATOMIC_SPECIES
Er 167.26 Er.upf
Y 88.91 Y.upf
P 30.97 P.upf
ATOMIC_POSITIONS crystal
Er 0.669 0.669 0.993
Y 0.498 0.498 0.507
P 0.081 0.081 0.756
P 0.252 0.252 0.244
CELL_PARAMETERS angstrom
3.952 0.000 0.000
1.976 3.423 0.000
1.976 1.141 6.790
```

----------

A plane-wave DFT calculation with PBE with a Hubbard U was carried out for a relaxed TbTlV2O6 crystal.

**ρ**: 5.7 Mg/m³
**E**: -7.351 eV per atom
**Size of the total moment**: 0.200 μB per atom

CIF file:
```
data_TbTlV2O6
_cell_length_a 10.920
_cell_length_b 10.215
_cell_length_c 6.007
_cell_angle_alpha 90.00
_cell_angle_beta 103.79
_cell_angle_gamma 90.00
_space_group_name_H-M_alt 'C 1 2/c 1'
_space_group_IT_number 15
_space_group_name_Hall '-C 2yc'
loop_
_atom_site_label
_atom_site_fract_x
_atom_site_fract_y
_atom_site_fract_z
_atom_site_occupancy
Tb1 0.000 0.101 0.250 1
Tl1 0.000 0.330 0.750 1
V1 0.217 0.410 0.306 1
O1 0.113 0.062 0.618 1
O2 0.147 0.255 0.241 1
O3 0.158 0.490 0.540 1
```

----------

[1]
## SmEr2Al (GGA-PBE)

Data for a relaxed SmEr2Al crystal.

Results
- Fermi-level density of states: 6.09 states/eV/f.u.
- Energy relative to the elements: -0.004 eV per atom
- ρ: 7.86 g cm⁻³
- Crystal system: cubic
- Energy above the most stable polymorph in this dataset: 0.194 eV/atom
- Spin magnetization: 4.64 Bohr magnetons per cell

Unit cell a=7.562 b=7.562 c=7.562 alpha=90.00 beta=90.00 gamma=90.00
Space group Fm-3m (No. 225)
Inequivalent atoms, fractional coordinates:
Sm1 0.000 0.000 0.000 x4
Er1 0.250 0.250 0.250 x8
Al1 0.000 0.000 0.500 x4

[2]
## FeP2PdS (GGA-PBE)

Data for a relaxed FeP2PdS crystal.

Results
- Fermi-level density of states: 4.24 states/eV/f.u.
- ρ: 5.06 g cm⁻³
- Formation energy (no corrections): 491 meV/atom
- Crystal system: tetragonal
- Energy above the most stable polymorph in this dataset: 0.000 eV/atom
- Spin magnetization: 0.27 Bohr magnetons per cell

Unit cell a=4.155 b=4.155 c=4.872 alpha=90.00 beta=90.00 gamma=90.00
Space group P4/mmm (No. 123)
Inequivalent atoms, fractional coordinates:
Fe1 0.000 0.000 0.000 x1
P1 0.000 0.500 0.000 x2
Pd1 0.500 0.500 0.500 x1
S1 0.000 0.000 0.500 x1

[3]
## KYRe2 (GGA-PBE)

Data for a relaxed KYRe2 crystal.

Results
- Fermi-level density of states: 2.74 states/eV/f.u.
- Energy relative to the elements: 1.210 eV per atom
- ρ: 10.49 g cm⁻³
- Crystal system: orthorhombic
- Energy above the most stable polymorph in this dataset: 0.688 eV/atom
- Spin magnetization: 0.02 Bohr magnetons per cell